Activity >
Say how many lines of the contents further down hold the word "elements", as a bare number.

Material >
- - -
# MnAl12 GGA-PBE relaxed
# Formation energy from the elements   -2.3 kcal/mol of atoms
data_MnAl12
_cell_length_a 7.5009
_cell_length_b 7.5009
_cell_length_c 7.5009
_cell_angle_alpha 90.00
_cell_angle_beta 90.00
_cell_angle_gamma 90.00
_symmetry_space_group_name_H-M 'I m -3'
_symmetry_Int_Tables_number 204
_symmetry_space_group_name_Hall '-I 2 2 3'
loop_
_atom_site_label
_atom_site_fract_x
_atom_site_fract_y
_atom_site_fract_z
_atom_site_occupancy
Mn1 0.0000 0.0000 0.0000 1
Al1 0.0000 0.3030 0.1862 1
- - -

Here it is >
1